_Listing_
Entry 1:
15
Properties=species:S:1:pos:R:3 method="wB97M-V/def2-TZVPD" multiplicity=1 homo_energy_ev=-8.20 charge=0 homo_lumo_gap_ev=8.02 lumo_energy_ev=-0.182 smiles="CS/C(=N/N)C(N)=S" relative_energy_ev=3.125
C -2.54627 0.10018 0.64269
C 0.26752 0.30278 -0.41087
C 1.21995 -0.83326 -0.17085
H -2.25464 -0.43453 1.67708
H -2.82454 1.12638 1.14586
H -3.47795 -0.26616 0.13865
H 2.00392 2.91054 -0.56058
H 2.56329 1.36130 0.08568
H 1.05110 -3.00816 -0.45434
H -0.44708 -1.97808 -0.47578
N 0.56573 1.62044 -0.47399
N 1.72933 1.99006 -0.07557
N 0.58719 -2.07272 -0.16147
S -1.30417 -0.21842 -0.86096
S 2.86662 -0.60035 -0.04556

***

Entry 2:
44
Properties=species:S:1:pos:R:3 method="wB97M-V/def2-TZVPD" multiplicity=1 homo_energy_ev="-14.04 / -14.04" charge=+2 homo_lumo_gap_ev="3.67 / 4.38" lumo_energy_ev="-10.367 / -9.664" relative_energy_ev=0.703
Tl 0.90254 2.56941 1.06036
C -2.01003 1.28776 -2.39248
C -1.58228 2.03064 -1.12840
N -0.58176 2.89090 -1.00455
N -0.18197 3.43110 -2.15639
C 0.85828 4.30366 -2.17066
N 0.95819 5.08151 -3.23743
S 2.16421 4.13394 -1.03939
C -2.22100 1.54468 0.12886
C -2.72477 0.22501 0.20843
C -3.19888 -0.21331 1.41385
C -3.21538 0.68932 2.51686
C -2.79172 2.01052 2.35132
N -2.21987 2.37337 1.20629
H -1.92765 1.98203 -3.22959
H -3.05150 0.97042 -2.39750
H -1.44092 0.35893 -2.59315
H 0.47730 4.89801 -4.12141
H 1.73607 5.73759 -3.30875
H -2.65240 -0.40950 -0.67094
H -3.57391 -1.24926 1.62097
H -3.57369 0.37285 3.49713
H -2.95778 2.76767 3.11215
C 2.54196 -0.63862 -1.30114
N 2.05833 -1.67630 -0.37940
C 2.16990 -3.07637 -0.80874
C 2.09828 -4.01982 0.39563
C 1.03559 -3.63349 1.43023
N 0.94624 -2.19085 1.65066
C 0.33013 -1.74396 2.90283
C 1.38521 -1.26220 0.73801
O 1.15434 -0.05031 1.01939
H 3.65825 -0.57428 -1.33872
H 2.24132 0.31568 -0.86666
H 2.13287 -0.76701 -2.31930
H 3.11268 -3.12127 -1.32479
H 1.35687 -3.32221 -1.50150
H 3.08268 -4.00549 0.88792
H 1.91410 -5.05084 0.07202
H 1.19491 -4.10867 2.41106
H 0.03442 -3.98137 1.02428
H 0.82919 -2.10983 3.82334
H -0.71433 -2.12972 2.90167
H 0.24599 -0.64033 2.91762

***

Entry 3:
58
Properties=species:S:1:pos:R:3 method="wB97M-V/def2-TZVPD" multiplicity=2 homo_energy_ev="-10.97 / -11.16" charge=+1 homo_lumo_gap_ev="6.77 / 6.29" lumo_energy_ev="-4.198 / -4.868" relative_energy_ev=0.000
Ru 0.50284 -1.06160 0.70051
Cl 0.79541 -1.08166 3.15322
C 2.47163 -1.02744 2.59493
C 2.54453 -1.04018 1.21461
C 3.85100 -1.03858 0.73419
Cl 4.17871 -1.10609 -0.96854
C 4.96320 -0.99859 1.58705
Cl 6.55375 -0.98794 0.94453
C 4.79819 -0.96997 2.97397
Cl 6.14927 -0.91893 4.02352
C 3.51037 -0.99135 3.50286
Cl 3.21445 -0.97691 5.18894
O -6.14300 -0.73475 -1.96147
N -5.27213 -0.62390 -2.79785
O -5.46259 -0.44014 -3.97627
C -3.85627 -0.72520 -2.34718
C -2.93036 -0.64918 -3.32303
C -1.53413 -0.73508 -3.03181
C -0.54402 -0.66634 -4.02760
C 0.76726 -0.75540 -3.65225
C 1.08719 -0.90417 -2.29687
N 0.17547 -0.97503 -1.34321
C -1.13422 -0.89016 -1.70746
C -2.12456 -0.97262 -0.67491
N -1.63517 -1.13491 0.57526
C -2.47244 -1.22549 1.58923
C -3.85369 -1.16245 1.41006
C -4.37058 -0.99684 0.15056
C -3.49805 -0.89766 -0.95587
H -3.25797 -0.52065 -4.34507
H -0.82863 -0.54297 -5.06465
H 1.56895 -0.70573 -4.37464
H 2.11161 -0.95817 -1.97104
H -2.03757 -1.34739 2.57288
H -4.50692 -1.23896 2.26704
H -5.43488 -0.94201 0.00425
N 0.69813 8.87774 0.73612
C 0.66845 7.72968 0.73163
C 0.62836 6.29185 0.72460
C 0.05356 5.62265 -0.35478
C 0.01356 4.24295 -0.35974
C 0.54833 3.51474 0.70873
C 1.12350 4.19831 1.78596
C 1.16334 5.57840 1.79578
C 0.51297 2.08958 0.70246
C 0.50501 0.86648 0.70827
H -0.35689 6.19005 -1.17839
H -0.43039 3.71325 -1.19155
H 1.53714 3.63363 2.61010
H 1.60659 6.11096 2.62559
S 1.27168 -5.66935 1.00003
C -0.08776 -5.37580 0.00909
C -0.31238 -4.04440 -0.08073
N 0.56543 -3.26325 0.63583
C 1.44925 -4.00739 1.25547
H -0.63852 -6.17681 -0.45410
H -1.10465 -3.57969 -0.64651
H 2.23866 -3.59914 1.86826

***

Entry 4:
189

_Brief_
Type out the data further up unchanged, please.

_Completed_
Entry 1:
15
Properties=species:S:1:pos:R:3 method="wB97M-V/def2-TZVPD" multiplicity=1 homo_energy_ev=-8.20 charge=0 homo_lumo_gap_ev=8.02 lumo_energy_ev=-0.182 smiles="CS/C(=N/N)C(N)=S" relative_energy_ev=3.125
C -2.54627 0.10018 0.64269
C 0.26752 0.30278 -0.41087
C 1.21995 -0.83326 -0.17085
H -2.25464 -0.43453 1.67708
H -2.82454 1.12638 1.14586
H -3.47795 -0.26616 0.13865
H 2.00392 2.91054 -0.56058
H 2.56329 1.36130 0.08568
H 1.05110 -3.00816 -0.45434
H -0.44708 -1.97808 -0.47578
N 0.56573 1.62044 -0.47399
N 1.72933 1.99006 -0.07557
N 0.58719 -2.07272 -0.16147
S -1.30417 -0.21842 -0.86096
S 2.86662 -0.60035 -0.04556

***

Entry 2:
44
Properties=species:S:1:pos:R:3 method="wB97M-V/def2-TZVPD" multiplicity=1 homo_energy_ev="-14.04 / -14.04" charge=+2 homo_lumo_gap_ev="3.67 / 4.38" lumo_energy_ev="-10.367 / -9.664" relative_energy_ev=0.703
Tl 0.90254 2.56941 1.06036
C -2.01003 1.28776 -2.39248
C -1.58228 2.03064 -1.12840
N -0.58176 2.89090 -1.00455
N -0.18197 3.43110 -2.15639
C 0.85828 4.30366 -2.17066
N 0.95819 5.08151 -3.23743
S 2.16421 4.13394 -1.03939
C -2.22100 1.54468 0.12886
C -2.72477 0.22501 0.20843
C -3.19888 -0.21331 1.41385
C -3.21538 0.68932 2.51686
C -2.79172 2.01052 2.35132
N -2.21987 2.37337 1.20629
H -1.92765 1.98203 -3.22959
H -3.05150 0.97042 -2.39750
H -1.44092 0.35893 -2.59315
H 0.47730 4.89801 -4.12141
H 1.73607 5.73759 -3.30875
H -2.65240 -0.40950 -0.67094
H -3.57391 -1.24926 1.62097
H -3.57369 0.37285 3.49713
H -2.95778 2.76767 3.11215
C 2.54196 -0.63862 -1.30114
N 2.05833 -1.67630 -0.37940
C 2.16990 -3.07637 -0.80874
C 2.09828 -4.01982 0.39563
C 1.03559 -3.63349 1.43023
N 0.94624 -2.19085 1.65066
C 0.33013 -1.74396 2.90283
C 1.38521 -1.26220 0.73801
O 1.15434 -0.05031 1.01939
H 3.65825 -0.57428 -1.33872
H 2.24132 0.31568 -0.86666
H 2.13287 -0.76701 -2.31930
H 3.11268 -3.12127 -1.32479
H 1.35687 -3.32221 -1.50150
H 3.08268 -4.00549 0.88792
H 1.91410 -5.05084 0.07202
H 1.19491 -4.10867 2.41106
H 0.03442 -3.98137 1.02428
H 0.82919 -2.10983 3.82334
H -0.71433 -2.12972 2.90167
H 0.24599 -0.64033 2.91762

***

Entry 3:
58
Properties=species:S:1:pos:R:3 method="wB97M-V/def2-TZVPD" multiplicity=2 homo_energy_ev="-10.97 / -11.16" charge=+1 homo_lumo_gap_ev="6.77 / 6.29" lumo_energy_ev="-4.198 / -4.868" relative_energy_ev=0.000
Ru 0.50284 -1.06160 0.70051
Cl 0.79541 -1.08166 3.15322
C 2.47163 -1.02744 2.59493
C 2.54453 -1.04018 1.21461
C 3.85100 -1.03858 0.73419
Cl 4.17871 -1.10609 -0.96854
C 4.96320 -0.99859 1.58705
Cl 6.55375 -0.98794 0.94453
C 4.79819 -0.96997 2.97397
Cl 6.14927 -0.91893 4.02352
C 3.51037 -0.99135 3.50286
Cl 3.21445 -0.97691 5.18894
O -6.14300 -0.73475 -1.96147
N -5.27213 -0.62390 -2.79785
O -5.46259 -0.44014 -3.97627
C -3.85627 -0.72520 -2.34718
C -2.93036 -0.64918 -3.32303
C -1.53413 -0.73508 -3.03181
C -0.54402 -0.66634 -4.02760
C 0.76726 -0.75540 -3.65225
C 1.08719 -0.90417 -2.29687
N 0.17547 -0.97503 -1.34321
C -1.13422 -0.89016 -1.70746
C -2.12456 -0.97262 -0.67491
N -1.63517 -1.13491 0.57526
C -2.47244 -1.22549 1.58923
C -3.85369 -1.16245 1.41006
C -4.37058 -0.99684 0.15056
C -3.49805 -0.89766 -0.95587
H -3.25797 -0.52065 -4.34507
H -0.82863 -0.54297 -5.06465
H 1.56895 -0.70573 -4.37464
H 2.11161 -0.95817 -1.97104
H -2.03757 -1.34739 2.57288
H -4.50692 -1.23896 2.26704
H -5.43488 -0.94201 0.00425
N 0.69813 8.87774 0.73612
C 0.66845 7.72968 0.73163
C 0.62836 6.29185 0.72460
C 0.05356 5.62265 -0.35478
C 0.01356 4.24295 -0.35974
C 0.54833 3.51474 0.70873
C 1.12350 4.19831 1.78596
C 1.16334 5.57840 1.79578
C 0.51297 2.08958 0.70246
C 0.50501 0.86648 0.70827
H -0.35689 6.19005 -1.17839
H -0.43039 3.71325 -1.19155
H 1.53714 3.63363 2.61010
H 1.60659 6.11096 2.62559
S 1.27168 -5.66935 1.00003
C -0.08776 -5.37580 0.00909
C -0.31238 -4.04440 -0.08073
N 0.56543 -3.26325 0.63583
C 1.44925 -4.00739 1.25547
H -0.63852 -6.17681 -0.45410
H -1.10465 -3.57969 -0.64651
H 2.23866 -3.59914 1.86826

***

Entry 4:
189